Excerpt.
-- begin --
Entry 1:
# SCAN Li2Ti3ZnO8, PBEsol geometry
data_Li2Ti3ZnO8
_cell_length_a 5.9157
_cell_length_b 5.9157
_cell_length_c 14.2930
_cell_angle_alpha 90.00
_cell_angle_beta 90.00
_cell_angle_gamma 120.00
_space_group_name_H-M_alt 'R 3 m'
_space_group_IT_number 160
_space_group_name_Hall 'R 3 -2"'
loop_
_atom_site_label
_atom_site_type_symbol
_atom_site_fract_x
_atom_site_fract_y
_atom_site_fract_z
Li1 Li 0.0000 0.0000 0.0000
Li2 Li 0.0000 0.0000 0.3817
Ti1 Ti 0.1695 0.3391 0.8325
Zn1 Zn 0.0000 0.0000 0.6168
O1 O 0.0000 0.0000 0.2416
O2 O 0.0000 0.0000 0.7578
O3 O 0.0271 0.5135 0.7631
O4 O 0.1805 0.3611 0.5744
# * ΔE_f (raw): -277.9 kJ/mol of atoms
# * total energy: -11.18 eV per atom

=====

Entry 2:
# SCAN AgAu2Cl, PBEsol geometry
data_AgAu2Cl
_cell_length_a 3.153
_cell_length_b 3.153
_cell_length_c 7.159
_cell_angle_alpha 90.00
_cell_angle_beta 90.00
_cell_angle_gamma 90.00
_space_group_name_H-M_alt 'P 4 m m'
_space_group_IT_number 99
loop_
_space_group_symop_operation_xyz
'x,y,z'
'-y,x,z'
'-x,-y,z'
'y,-x,z'
'-x,y,z'
'y,x,z'
'x,-y,z'
'-y,-x,z'
loop_
_atom_site_label
_atom_site_type_symbol
_atom_site_fract_x
_atom_site_fract_y
_atom_site_fract_z
Ag1 Ag 0.000 0.000 0.000
Au1 Au 0.000 0.000 0.477
Au2 Au 0.500 0.500 0.244
Cl1 Cl 0.500 0.500 0.765
# * ΔE_f (raw): -0.7 kJ/mol of atoms
# * total energy: -44.42 eV per atom

=====

| no. | energy above the lowest structure with this stoichiometry (meV per atom) |
| --- | --- |
| 1 | 38 |
| 2 | 0 |
-- stop --

Wanted.
What is needed: print the listing further above from the first line to the one with "0.477" character by character.

Here it is.
Entry 1:
# SCAN Li2Ti3ZnO8, PBEsol geometry
data_Li2Ti3ZnO8
_cell_length_a 5.9157
_cell_length_b 5.9157
_cell_length_c 14.2930
_cell_angle_alpha 90.00
_cell_angle_beta 90.00
_cell_angle_gamma 120.00
_space_group_name_H-M_alt 'R 3 m'
_space_group_IT_number 160
_space_group_name_Hall 'R 3 -2"'
loop_
_atom_site_label
_atom_site_type_symbol
_atom_site_fract_x
_atom_site_fract_y
_atom_site_fract_z
Li1 Li 0.0000 0.0000 0.0000
Li2 Li 0.0000 0.0000 0.3817
Ti1 Ti 0.1695 0.3391 0.8325
Zn1 Zn 0.0000 0.0000 0.6168
O1 O 0.0000 0.0000 0.2416
O2 O 0.0000 0.0000 0.7578
O3 O 0.0271 0.5135 0.7631
O4 O 0.1805 0.3611 0.5744
# * ΔE_f (raw): -277.9 kJ/mol of atoms
# * total energy: -11.18 eV per atom

=====

Entry 2:
# SCAN AgAu2Cl, PBEsol geometry
data_AgAu2Cl
_cell_length_a 3.153
_cell_length_b 3.153
_cell_length_c 7.159
_cell_angle_alpha 90.00
_cell_angle_beta 90.00
_cell_angle_gamma 90.00
_space_group_name_H-M_alt 'P 4 m m'
_space_group_IT_number 99
loop_
_space_group_symop_operation_xyz
'x,y,z'
'-y,x,z'
'-x,-y,z'
'y,-x,z'
'-x,y,z'
'y,x,z'
'x,-y,z'
'-y,-x,z'
loop_
_atom_site_label
_atom_site_type_symbol
_atom_site_fract_x
_atom_site_fract_y
_atom_site_fract_z
Ag1 Ag 0.000 0.000 0.000
Au1 Au 0.000 0.000 0.477